The reader should repeat the block further down word for word.
-- begin --
[1]
# TlZn2Fe

TlZn2Fe after structural relaxation (PBE, the Alexandria database).

a b c (Å): 4.0257 4.0257 4.0831
angles (deg): 90.00 90.00 90.00
Fractional coordinates of all 4 atoms:
Tl 0.0000 0.0000 0.0000
Zn 0.0000 0.5000 0.5000
Zn 0.5000 0.0000 0.5000
Fe 0.5000 0.5000 0.0000

## Properties
For the calculated volume, the calculation gives 66.2 Å³/cell. Its crystal system is tetragonal. The formation energy is 1.4 eV per formula unit.

[2]
# LaCeIn6

LaCeIn6 after structural relaxation (PBE, the Alexandria database).

a b c (Å): 4.7488 4.7488 9.4970
angles (deg): 90.00 90.00 90.00
Fractional coordinates of all 8 atoms:
La 0.0000 0.0000 0.0000
Ce 0.0000 0.0000 0.5000
In 0.0000 0.5000 0.2540
In 0.0000 0.5000 0.7460
In 0.5000 0.0000 0.2540
In 0.5000 0.0000 0.7460
In 0.5000 0.5000 0.0000
In 0.5000 0.5000 0.5000

## Properties
For the calculated volume, the calculation gives 214.2 Å³/cell. Its crystal system is tetragonal. The formation energy is -3.6 eV per formula unit.

[3]
# PrGa9Ir2

PrGa9Ir2 after structural relaxation (PBE, the Alexandria database).

a b c (Å): 8.2543 8.2543 3.8129
angles (deg): 90.00 90.00 120.00
Fractional coordinates of all 12 atoms:
Pr 0.0000 0.0000 0.0000
Ga 0.0000 0.5000 0.0000
Ga 0.1988 0.3977 0.5000
Ga 0.1988 0.8012 0.5000
Ga 0.3977 0.1988 0.5000
Ga 0.5000 0.0000 0.0000
Ga 0.5000 0.5000 0.0000
Ga 0.6023 0.8012 0.5000
Ga 0.8012 0.1988 0.5000
Ga 0.8012 0.6023 0.5000
Ir 0.3333 0.6667 0.0000
Ir 0.6667 0.3333 0.0000

## Properties
For the calculated volume, the calculation gives 225.0 Å³/cell. Its crystal system is hexagonal. The formation energy is -4.2 eV per formula unit.

Relative energy among the computed polymorphs readings, ordered: 0.100, 0.000, 0.000 eV/atom
Final energy readings, ordered: -12.0, -30.9, -53.9 eV per cell
-- stop --
[1]
# TlZn2Fe

TlZn2Fe after structural relaxation (PBE, the Alexandria database).

a b c (Å): 4.0257 4.0257 4.0831
angles (deg): 90.00 90.00 90.00
Fractional coordinates of all 4 atoms:
Tl 0.0000 0.0000 0.0000
Zn 0.0000 0.5000 0.5000
Zn 0.5000 0.0000 0.5000
Fe 0.5000 0.5000 0.0000

## Properties
For the calculated volume, the calculation gives 66.2 Å³/cell. Its crystal system is tetragonal. The formation energy is 1.4 eV per formula unit.

[2]
# LaCeIn6

LaCeIn6 after structural relaxation (PBE, the Alexandria database).

a b c (Å): 4.7488 4.7488 9.4970
angles (deg): 90.00 90.00 90.00
Fractional coordinates of all 8 atoms:
La 0.0000 0.0000 0.0000
Ce 0.0000 0.0000 0.5000
In 0.0000 0.5000 0.2540
In 0.0000 0.5000 0.7460
In 0.5000 0.0000 0.2540
In 0.5000 0.0000 0.7460
In 0.5000 0.5000 0.0000
In 0.5000 0.5000 0.5000

## Properties
For the calculated volume, the calculation gives 214.2 Å³/cell. Its crystal system is tetragonal. The formation energy is -3.6 eV per formula unit.

[3]
# PrGa9Ir2

PrGa9Ir2 after structural relaxation (PBE, the Alexandria database).

a b c (Å): 8.2543 8.2543 3.8129
angles (deg): 90.00 90.00 120.00
Fractional coordinates of all 12 atoms:
Pr 0.0000 0.0000 0.0000
Ga 0.0000 0.5000 0.0000
Ga 0.1988 0.3977 0.5000
Ga 0.1988 0.8012 0.5000
Ga 0.3977 0.1988 0.5000
Ga 0.5000 0.0000 0.0000
Ga 0.5000 0.5000 0.0000
Ga 0.6023 0.8012 0.5000
Ga 0.8012 0.1988 0.5000
Ga 0.8012 0.6023 0.5000
Ir 0.3333 0.6667 0.0000
Ir 0.6667 0.3333 0.0000

## Properties
For the calculated volume, the calculation gives 225.0 Å³/cell. Its crystal system is hexagonal. The formation energy is -4.2 eV per formula unit.

Relative energy among the computed polymorphs readings, ordered: 0.100, 0.000, 0.000 eV/atom
Final energy readings, ordered: -12.0, -30.9, -53.9 eV per cell